Exercise
It remains to count the lines underneath that contain the word "column" and give the number alone.

Contents
No. 1
DFT (GGA-PBE) results for crystalline CeMnS2 at its relaxed geometry.

Properties
- energy (eV/atom) = -6.450
- total magnetic moment (μB/cell) = 16.53

Cell: 3.7049 3.7049 23.8410 Å, 90.00 90.00 120.00°
Last column: nearest neighbours and their distance in Å.
Space group R-3m (No. 166, hexagonal axes)
Symmetry-distinct sites (fractional):
Ce: 0.0000 0.0000 0.0000 (multiplicity 3)  2 S 2.66
Mn: 0.0000 0.0000 0.5000 (multiplicity 3)  6 S 2.51
S: 0.0000 0.0000 0.1116 (multiplicity 6)  3 Mn 2.51, 1 Ce 2.66

---

No. 2
DFT (GGA-PBE) results for crystalline Ce11MnS16 at its relaxed geometry.

Properties
- energy (eV/atom) = -6.911
- total magnetic moment (μB/cell) = 34.94

Cell: 8.4597 16.9195 8.5969 Å, 90.00 90.00 90.00°
Last column: nearest neighbours and their distance in Å.
Space group P2_12_12 (No. 18)
Symmetry-distinct sites (fractional):
Ce: 0.0000 0.0000 0.1324 (multiplicity 2)  8 S 2.85-3.03
Ce: 0.0012 0.7496 0.3792 (multiplicity 4)  8 S 2.81-3.11
Ce: 0.1258 0.6263 0.7557 (multiplicity 4)  8 S 2.82-3.09
Ce: 0.1287 0.1229 0.7535 (multiplicity 4)  8 S 2.81-3.12
Ce: 0.2446 0.4404 0.4879 (multiplicity 4)  8 S 2.83-3.12
Ce: 0.2471 0.3149 0.0005 (multiplicity 4)  7 S 2.82-3.02
Mn: 0.0000 0.5000 0.0489 (multiplicity 2)  4 S 2.59-2.62
S: 0.0684 0.6501 0.0818 (multiplicity 4)  1 Mn 2.62, 2 Ce 2.82-2.87
S: 0.0705 0.0877 0.4280 (multiplicity 4)  6 Ce 2.85-3.09, 1 S 3.17
S: 0.0742 0.1648 0.0768 (multiplicity 4)  6 Ce 2.87-3.04
S: 0.0802 0.5909 0.4382 (multiplicity 4)  5 Ce 2.81-3.01
S: 0.1758 0.2864 0.6765 (multiplicity 4)  6 Ce 2.84-3.12
S: 0.1760 0.4621 0.8133 (multiplicity 4)  1 Mn 2.59, 3 Ce 2.85-2.88
S: 0.1760 0.7897 0.6770 (multiplicity 4)  6 Ce 2.87-3.04
S: 0.1841 0.9646 0.8381 (multiplicity 4)  5 Ce 2.81-3.12, 1 Mn 2.91

---

No. 3
DFT (GGA-PBE) results for crystalline CeMnS3 at its relaxed geometry.

Properties
- energy (eV/atom) = -6.567
- total magnetic moment (μB/cell) = 4.86

Cell: 4.6291 4.6291 4.6291 Å, 90.00 90.00 90.00°
Last column: nearest neighbours and their distance in Å.
Space group Pm-3m (No. 221)
Symmetry-distinct sites (fractional):
Ce: 0.0000 0.0000 0.0000 (multiplicity 1)  12 S 3.27
Mn: 0.5000 0.5000 0.5000 (multiplicity 1)  6 S 2.31
S: 0.0000 0.5000 0.5000 (multiplicity 3)  2 Mn 2.31

---

No. 4
DFT (GGA-PBE) results for crystalline Ce2ScMnS5 at its relaxed geometry.

Properties
- energy (eV/atom) = -7.006
- total magnetic moment (μB/cell) = 24.11

Cell: 3.8563 16.4297 11.6811 Å, 90.00 90.00 90.00°
Last column: nearest neighbours and their distance in Å.
Space group Cmc2_1 (No. 36)
Symmetry-distinct sites (fractional):
Ce: 0.0000 0.1144 0.0000 (multiplicity 4)  8 S 2.89-3.06
Ce: 0.0000 0.1308 0.6230 (multiplicity 4)  7 S 2.87-3.00
Sc: 0.0000 0.1994 0.3240 (multiplicity 4)  6 S 2.56-2.64
Mn: 0.0000 0.4435 0.7585 (multiplicity 4)  4 S 2.29-2.42
S: 0.0000 0.0473 0.3701 (multiplicity 4)  2 Mn 2.33, 1 Sc 2.56
S: 0.0000 0.2896 0.9761 (multiplicity 4)  2 Sc 2.63, 3 Ce 2.89
S: 0.0000 0.3100 0.6707 (multiplicity 4)  1 Mn 2.42, 2 Sc 2.64
S: 0.0000 0.3573 0.3145 (multiplicity 4)  1 Sc 2.60
S: 0.0000 0.4955 0.0822 (multiplicity 4)  1 Mn 2.29

---

No. 5
DFT (GGA-PBE) results for crystalline Ce2TiMnS5 at its relaxed geometry.

Properties
- energy (eV/atom) = -7.068
- total magnetic moment (μB/cell) = 18.29

Cell: 3.7915 16.2949 11.4136 Å, 90.00 90.00 90.00°
Last column: nearest neighbours and their distance in Å.
Space group Cmc2_1 (No. 36)
Symmetry-distinct sites (fractional):
Ce: 0.0000 0.1186 0.0000 (multiplicity 4)  8 S 2.87-3.07
Ce: 0.0000 0.1293 0.6203 (multiplicity 4)  7 S 2.85-2.92
Ti: 0.0000 0.1907 0.3165 (multiplicity 4)  6 S 2.44-2.59
Mn: 0.0000 0.4314 0.7588 (multiplicity 4)  4 S 2.29-2.31
S: 0.0000 0.0451 0.3664 (multiplicity 4)  2 Mn 2.29, 1 Ti 2.44
S: 0.0000 0.2933 0.9676 (multiplicity 4)  2 Ti 2.58, 3 Ce 2.87
S: 0.0000 0.3049 0.6682 (multiplicity 4)  1 Mn 2.31, 2 Ti 2.54
S: 0.0000 0.3498 0.3125 (multiplicity 4)  1 Ti 2.59, 2 Ce 2.90
S: 0.0000 0.4992 0.0848 (multiplicity 4)  1 Mn 2.29

---

No. 6

Completed
5